Conduct a Public Hearing to Consider/Discuss/Act on a Request to Rezone the Subject Property from “PD” - Planned Development District to “PD” - Planned Development District, Generally For Mixed Uses Including Commercial, Retail, Office, Multi- Family Residential, And Open Space, Generally Located North of the Intersection of Laud Howell Parkway (FM 543) and U.S. Highway 75 (Central Expressway)
COUNCIL GOAL: Direction for Strategic and Economic Growth
(1C: Provide a strong city economy by facilitating a balance between industrial, commercial, residential and open space)
MEETING DATE: April 27, 2021
DEPARTMENT: Development Services - Planning Department
CONTACT: Caitlyn Strickland, Planning Manager
Jennifer Arnold, AICP, Director of Planning
APPROVAL PROCESS: The recommendation of the Planning and Zoning Commission will be forwarded to the City Council for final action at the May 18, 2021 meeting.
STAFF RECOMMENDATION: Staff recommends approval of the proposed rezoning request with the following special ordinance provisions:
1. The subject property shall be zoned “PD” - Planned Development District and shall be subject to the following special ordinance provision:
a. The subject property shall develop in accordance with the attached development regulations.
APPLICATION SUBMITTAL DATE: December 29, 2020 (Original Application)
**Unrelated to this text: records of crystals**
┌──
Entry 1:
DFT (GGA-PBE) results for an optimized crystal structure of Ge2Bi2As. Values from VASP.

The structure in Quantum ESPRESSO input format:
```
&SYSTEM
  ibrav = 0, nat = 10, ntyp = 3
/
ATOMIC_SPECIES
Ge 72.64 Ge.upf
Bi 208.98 Bi.upf
As 74.92 As.upf
ATOMIC_POSITIONS crystal
Ge 0.137 0.363 0.000
Ge 0.363 0.863 0.000
Ge 0.637 0.137 0.000
Ge 0.863 0.637 0.000
Bi 0.238 0.262 0.500
Bi 0.262 0.762 0.500
Bi 0.738 0.238 0.500
Bi 0.762 0.738 0.500
As 0.000 0.000 0.000
As 0.500 0.500 0.000
CELL_PARAMETERS angstrom
6.793 0.000 0.000
0.000 6.793 0.000
0.000 0.000 5.715
```

## Properties
- Space-group type: P4/mbm

---

Entry 2:
DFT (GGA-PBE) results for an optimized crystal structure of ZrTaAl. Values from VASP.

The structure in Quantum ESPRESSO input format:
```
&SYSTEM
  ibrav = 0, nat = 12, ntyp = 3
/
ATOMIC_SPECIES
Zr 91.22 Zr.upf
Ta 180.95 Ta.upf
Al 26.98 Al.upf
ATOMIC_POSITIONS crystal
Zr 0.000 0.250 0.118
Zr 0.000 0.750 0.882
Zr 0.500 0.250 0.382
Zr 0.500 0.750 0.618
Ta 0.250 0.250 0.750
Ta 0.250 0.750 0.250
Ta 0.750 0.250 0.750
Ta 0.750 0.750 0.250
Al 0.000 0.000 0.500
Al 0.000 0.500 0.500
Al 0.500 0.000 0.000
Al 0.500 0.500 0.000
CELL_PARAMETERS angstrom
5.345 0.000 0.000
0.000 5.471 0.000
0.000 0.000 7.931
```

## Properties
- Space-group type: Imma
- Excess energy over the best structure of this formula in the dataset: 0.000 eV/atom

---

How do the records compare in formation enthalpy at 0 K? In the order shown, they have 0.27, -0.27 eV/atom.

=====

A relaxed structure of BeAgB2. Source: OQMD, functional PBE-GGA.

The calculation puts the total energy at -3.558 eV per atom.

The structure belongs to space group F-43m (No. 216); the cell edges are 5.453, 5.453 and 5.453 Å and the angles 90.00°, 90.00° and 90.00°. Symmetry generates all atoms from Be at (0.000, 0.000, 0.000), Ag at (0.250, 0.250, 0.250), B at (0.000, 0.000, 0.500) and B at (0.250, 0.250, 0.750).

A relaxed structure of CsAu2. Source: OQMD, functional PBE-GGA.

The calculation puts the total energy at -2.551 eV per atom.

The structure belongs to space group Fd-3m (No. 227, origin choice 2); the cell edges are 8.542, 8.542 and 8.542 Å and the angles 90.00°, 90.00° and 90.00°. Symmetry generates all atoms from Cs at (0.125, 0.125, 0.125) and Au at (0.000, 0.000, 0.500).

A relaxed structure of TlOsSeO. Source: OQMD, functional PBE-GGA.

The value obtained for the total moment is 0.05 μB per cell. Its energy above the most stable polymorph in this dataset is 157 meV/atom.

The structure belongs to space group P2_1 (No. 4); the cell edges are 4.995, 4.920 and 13.433 Å and the angles 90.00°, 95.13° and 90.00°. Symmetry generates all atoms from Tl at (0.035, 0.000, 0.102), Tl at (0.460, 0.021, 0.910), Os at (0.014, 0.028, 0.595), Os at (0.394, 0.706, 0.594), Se at (0.261, 0.359, 0.704), Se at (0.264, 0.372, 0.280), O at (0.170, 0.866, 0.470) and O at (0.325, 0.392, 0.488).

A relaxed structure of USeS. Source: OQMD, functional PBE-GGA.
└──
February 2, 2021 (Revised Submittal)
Here the article breaks off for materials data =
/*
Entry from the Alexandria database: a geometry-optimized Tb8YAl2 structure (PBE-GGA).

Lattice parameters (Å, degrees): 5.613 8.570 8.570 118.24 101.85 101.85
Atoms (fractional coordinates):
Y (0.500, 0.000, 0.000)
Tb (0.500, 0.776, 0.224)
Tb (0.888, 0.912, 0.674)
Tb (0.705, 0.406, 0.406)
Tb (0.295, 0.594, 0.594)
Tb (0.888, 0.674, 0.912)
Tb (0.112, 0.088, 0.326)
Tb (0.500, 0.224, 0.776)
Tb (0.112, 0.326, 0.088)
Al (0.000, 0.692, 0.308)
Al (0.000, 0.308, 0.692)

Values from the calculation:
For the total DFT energy (no corrections), the calculation gives -0.170 hartree per atom. The calculation puts the formation energy at 0.0077 eV/atom. The calculated density is 7.06 g/cm³.

* * * * *

(1)
NaHfCdAu (GGA-PBE, relaxed); E above lowest polymorph = 0.0 meV per atom
1.0
0.000 3.378 3.378
3.378 0.000 3.378
3.378 3.378 0.000
Na Hf Cd Au
1 1 1 1
Direct
0.000 0.000 0.000
0.250 0.250 0.250
0.750 0.750 0.750
0.500 0.500 0.500

---

(2)
Zr2Al2O5 (GGA-PBE, relaxed); E above lowest polymorph = 39.3 meV per atom
1.0
3.758 0.000 0.000
0.000 3.758 0.000
0.000 0.000 6.460
Zr Al O
2 2 5
Direct
0.000 0.000 0.000
0.000 0.000 0.500
0.500 0.500 0.219
0.500 0.500 0.781
0.000 0.500 0.237
0.000 0.500 0.763
0.500 0.000 0.237
0.500 0.000 0.763
0.500 0.500 0.500

---

(3)
Al3W2 (GGA-PBE, relaxed); E above lowest polymorph = 0.0 meV per atom
1.0
9.664 0.000 0.000
0.000 9.664 0.000
0.000 0.000 4.938
Al W
18 12
Direct
0.000 0.000 0.000
0.057 0.262 0.000
0.189 0.811 0.250
0.189 0.811 0.750
0.238 0.557 0.500
0.262 0.057 0.000
0.311 0.311 0.250
0.311 0.311 0.750
0.443 0.762 0.500
0.500 0.500 0.500
0.557 0.238 0.500
0.689 0.689 0.250
0.689 0.689 0.750
0.738 0.943 0.000
0.762 0.443 0.500
0.811 0.189 0.250
0.811 0.189 0.750
0.943 0.738 0.000
0.029 0.363 0.500
0.103 0.103 0.500
0.137 0.529 0.000
0.363 0.029 0.500
0.397 0.603 0.000
0.471 0.863 0.000
0.529 0.137 0.000
0.603 0.397 0.000
0.637 0.971 0.500
0.863 0.471 0.000
0.897 0.897 0.500
0.971 0.637 0.500

---

(4)
Li4GaHgPt2 (GGA-PBE, relaxed); E = -27.57 eV per cell
1.0
4.276 0.000 0.000
0.000 4.276 0.000
0.000 0.000 6.548
Li Ga Hg Pt
4 1 1 2
Direct
0.000 0.000 0.000
0.000 0.500 0.737
0.500 0.000 0.263
0.500 0.500 0.500
0.000 0.000 0.500
0.500 0.500 0.000
0.000 0.500 0.284
0.500 0.000 0.716

---

(5)
TbHoFe (GGA-PBE, relaxed); E_form = 200 meV per atom
1.0
0.000 3.285 3.285
3.285 0.000 3.285
3.285 3.285 0.000
Tb Ho Fe
1 1 1
Direct
0.000 0.000 0.000
0.500 0.500 0.500
0.750 0.750 0.750

---

(6)
SmHoNb2Ge2 (GGA-PBE, relaxed); E = -42.47 eV per cell
1.0
4.042 0.000 0.000
0.000 4.042 0.000
0.000 0.000 7.951
Sm Ho Nb Ge
1 1 2 2
Direct
0.000 0.000 0.000
0.500 0.500 0.296
0.000 0.500 0.643
0.500 0.000 0.643
0.000 0.000 0.400
0.500 0.500 0.884

---

(7)
KBe2Pt2 (GGA-PBE, relaxed); E = -43.83 eV per cell
1.0
7.419 0.000 0.000
0.000 7.419 0.000
0.000 0.000 2.763
K Be Pt
2 4 4
Direct
0.000 0.000 0.000
0.500 0.500 0.000
0.118 0.382 0.000
0.382 0.882 0.000
0.618 0.118 0.000
0.882 0.618 0.000
0.148 0.648 0.500
0.352 0.148 0.500
0.648 0.852 0.500
*/
Back to the article =
ITEM SUMMARY: The applicant is requesting to rezone approximately 111 acres of land, generally to allow for the development of mixed uses including commercial, retail, office, multi-family residential, and open space.
Location |
Zoning District (Permitted Land Uses) |
Existing Land Use |
Subject Property |
“PD” - Planned Development District 2017-03-031 (Mixed Use Development) |
Undeveloped Land |
North |
“AG” - Agricultural District |
Undeveloped Land |
South |
Undeveloped Land |
East |
Undeveloped Land |
West |
“PD” - Planned Development District 2013-07-065 (Commercial Uses) |
Undeveloped Land |
PROPOSED ZONING: The applicant is requesting to rezone 111 acres from “PD” - Planned Development District to “PD” - Planned Development District, generally for mixed uses, including commercial, retail, office, multi-family residential, and open space.
This property is currently zoned “PD” - Planned Development District, Ordinance 2017-03-031 to allow for a regional mixed-use development pursuant to a detailed regulating plan and form-based development standards. The owner has recently exchanged property with the adjacent landowner and now desires to amend the existing zoning on the property in order to incorporate the newly acquired property, which is roughly 15 acres.
The proposed change will reconfigure the locations of the zoning character districts and street network shown on the regulating plan in order to account for the newly acquired property. Otherwise, the use and development standards included in the 2017 “PD” zoning will remain the same.
In addition to incorporating newly acquired property, the proposed development regulations also propose some modifications to items related to preservation and landscaping. The proposed modifications are associated with the efforts necessary to bring the subject property out of the floodplain. To offset any potential impacts, the applicant is proposing to plant trees along the proposed lake, which would otherwise not have been required and is also proposing to increase the minimum caliper size of all street trees on the property from 4-inches to 6-inches.
It is staff’s professional opinion that the existing and proposed zoning on the property should create an adaptive and quality regional mixed-use environment that furthers the goals and objectives of the comprehensive plan. The modifications proposed by the applicant are in keeping with the spirit of this zoning. As such, Staff recommends approval of the proposed rezoning request as conditioned in this report.
CONFORMANCE TO ONE MCKINNEY 2040: A key aspect of the ONE McKinney 2040 Comprehensive Plan is to provide direction related to the desired development patterns and to inform decisions related to the timing and phasing for future infrastructure investments in the City. To assist in guiding these decisions, the Preferred Scenario and Land Use Diagram establish distinctive districts, each with a clear intent and market focus that are reinforced through character-defining placetypes.
Per the Preferred Scenario, the subject property is designated as the Entertainment Center/Mixed Used placetype and is within the Honey Creek District. Other placetypes included in this district are Mixed-Use, Professional Campus, Urban Living, Suburban Living, and Employment Mix.
• Guiding Principles: The proposed rezoning request is generally in conformance with the Guiding Principles of “Diversity (Supporting our Economy and People)” and “Places (to Live, Work, Play, and Visit)” established by the Comprehensive Plan. In particular, the proposed request has the potential to provide “private development, public investments, and community engagement support the people of McKinney by making available housing options and neighborhood choices that are accessible, attainable and appealing to people at all stages of their lives” and potential for “private sector development and redevelopment [to] meet McKinney’s expectations for excellence in design and create places with market support and long-term economic viability.”
• Land Use Diagram Compatibility: In evaluating development requests, the City should determine that a project aligns with the land use diagram of the comprehensive plan and/or meets a majority of the established criteria to be considered compatible with the Land Use Diagram. The proposed rezoning request aligns with the entertainment center/mixed-use placetype designation on the subject property. Furthermore, the proposed request of “PD” - Planned Development District should be compatible with the surrounding properties and placetypes, including the Mixed-Use, Professional Campus, Urban Living, Suburban Living, and Employment Mix placetypes.
• Fiscal Model Analysis: Because the proposed rezoning request is not changing the allowed uses on the subject property, the anticipated fiscal impacts of the proposed rezoning request are considered revenue neutral.
OPPOSITION TO OR SUPPORT OF REQUEST: Staff has received no comments or phone calls in support of or opposition to this request.